Dr. Manoj Kumar Mishra 9 August 2018
Afghanistan was a neighbor of undivided India and shared long historical, cultural and political contacts. While the emergence of Pakistan with its anti-Indian identity to the west of India complicated the bilateral relationship, India’s efforts at improving ties with Afghanistan fell short of Afghan expectations. India’s role very often ran contrary to the interests and expectations of the Pashtuns who constituted the majority ethnic group in Afghanistan.
Despite historical and cultural bonding, India never rendered clear and open support to Afghanistan over the demand of self-determination for Pashtun population spreading across the Af-Pak border area (Durand Line) to form Pashtunistan. Pashtunistan issue carried enormous strategic importance for the Pashtun population in Afghanistan. New Delhi failed to grasp the fact that the geopolitical interest underlying the Pashtunistan movement was to gain territory which had access to the sea. As all the trade routes to Afghanistan’s south lie through Pakistan’s territory thus access to the sea was considered important to find an alternative route to become less dependent on Pakistan. Independent Pashtunistan would have deprived Pakistan of its geographic advantage that placed it in a favorable position vis-a-vis India to enhance trade with and influence in Afghanistan. India maintained silence over the Pashtunistan issue in the international forums where the non-aligned Afghanistan needed its support on such a crucial issue. However, scholars point to some reasons driving India’s silence on the subject. It is s argued that once Gandhi breathed his last – the staunch supporter of Pashtunistan cause – other leaders of Indian national movement were not much enthusiastic about it. The issue was confused with the legality of the Durand Line which India had herself recognized till that time. Secondly, the newly born Indian government was too preoccupied with developments at home as also defining her role in international affairs. Thirdly, even though relations between India and Pakistan were strained, both had many common problems to solve which required a better relationship between the two. The Nehru-Liaqat pact was a step in that direction. Thus, India did not want to estrange Pakistan by supporting Afghanistan on the Pashtunistan issue. Fourthly, supporting Pashtunistan had an implication for Kashmir problem as both were issues on the question of self-determination. Fifthly, a part of Kashmir was included in the proposed Pashtunistan, which Indian leaders did not accept. For example, in the Lok Sabha, when a member drew the attention of the government towards the fact that Chitral had been included in the zone of Pashtunistan, India’s first Prime Minister Nehru declared that “the suzerainty of Kashmir continued over Chitral.”
Following the Soviet intervention in Afghanistan in 1979, while India made its displeasure clear over the Moscow’s muscular foreign policy threatening Afghan independence in the bilateral discussions, it either abstained or maintained silence in the multilateral body like the UN. This distanced it from the dominant international anti-Soviet front that was more interested in pushing the Soviets out rather than being inclined to provide an alternative to ensure a stable and independent Afghanistan. Pakistan, the principal member of the anti-Soviet front, was observed being extremely active in keeping India out of an important process of negotiations involving Afghanistan. New Delhi’s ambiguous stance following the Soviet military intervention in Afghanistan only helped drive a wedge between India and the Pashtun population. Pakistan, on the other hand, being a Cold War ally of the US took advantage of the Soviet intervention and received enormous arms and aid which in turn enabled Islamabad to establish a cadre of radical Islamists undergoing similar kind of training in Deobandi tradition with solid infrastructure and influence to promote and serve its interests from the Central Asian part of the former Soviet Union via Afghanistan to Kashmir. This went a long way in helping Pakistani interests during the Afghan civil war and America-led War on Terror.
During the Afghan civil war, India was denied a major role in Afghanistan because of its perceived pro-Soviet role during the Soviet occupation. India was increasingly seen as the pro-Najibullah regime. Sibghatullah Mujaddedi, a leader of the Islamic Interim Council, warned India against any intervening role when they were battling the government forces in Jalalabad, near Pakistan’s border in March 1989. Najibullah’s visit to New Delhi in August 1990 and the signing of an agreement on the Prevention of Trafficking in Narcotic Drugs corroborated such perception.
After the emergence of the Taliban, India took an anti-Taliban stance primarily because of the group’s alleged links with Pakistan through many scholars maintained that the Afghan Taliban imbibed Afghan nationalism and concentrated more on driving foreign forces out of Afghanistan than fostering insurgency in Kashmir. New Delhi perhaps believed that the group would be a significant threat to India’s influence in Afghanistan and thereby in Central Asia rather than its stakes in Kashmir. However, it was also believed that the rise of radical Islamism in Afghanistan would have negative repercussions on the insurgency in Kashmir given the nexus between radical Islamic groups. It is noteworthy that the Taliban government like all other previous governments had not taken any anti-India stance on the Kashmir issue. India ignored the fact that despite Pakistan’s role in propping up the Afghan Taliban, the group was believed to have indigenous roots and elicited support from many Pashtuns. New Delhi continued to render humanitarian and military support to the Northern Alliance even while the Taliban’s influence was rising exponentially. Indian government’s anti-Taliban position prohibited India from playing a meaningful role in Afghanistan in line with its energy-driven foreign policy.
For a fast developing country like India, energy is considered one of the most critical non-traditional security imperatives. According to an estimate by BP Energy Outlook, India’s energy consumption would outgrow that of all major economies of the world by 2035 with a growth rate of 4.2% every year. The Central Asian region is landlocked without direct access to sea routes propped up the importance of Afghanistan as a bridge to the region except for the countries which did not share a border with any of these states. However, the unfolding geopolitical dynamics following 9/11 pushed Afghanistan’s importance as a site for geopolitical jostle for influence for all regional and external powers alike. To India’s disadvantage, the disintegration of the USSR led to the emergence of six Islamic Central Asia states replacing a single friendly superpower. The fact that the Central Asian countries are predominantly Muslim populated required an urgent response from India’s strategic and defence community to stem Pakistan’s role in Afghanistan and Central Asia. India’s desire for a stable and democratic Afghanistan is also driven by the imperative to prevent Pakistan from taking advantage of common religion and spreading its sway through the promotion of radical Islamism. It is noteworthy that instead of adopting peaceful Sufi tradition and promoting South Asian continental ethos, Pakistan was seen promoting radical teachings in madrasas in the Saudi Arabic Deobandi tradition and stressing on its cultural links with the Central Asian region.
Capitalizing on the Afghan Trade and Transit Agreement of 1965, while Pakistan allowed Afghanistan to transport some of its exports through Indo-Pakistan border, it flamboyantly declined to permit Indian goods to move into Afghanistan let alone Central Asia. The Pakistani drive to deny India overland route to Afghanistan and beyond points to its ambitions in developing its ties with Afghanistan and the Central Asian region at India’s expense.
India and Pakistan were interlocked in containing each other’s influence in Afghanistan. In this evolving circumstances, India sought a stable and democratic Afghanistan with an objective to reduce Pakistani influence and galvanized its efforts in an attempt to arrest the problems of the rise of radical Islamism and illegal trade of drugs which in India’s perception would also dampen insurgency in Kashmir.
The War on Terror created hope for India that the US-led effort would give a dent to terrorist infrastructures and radical Islamic ideology and would undercut Pakistan’s strategies in Afghanistan. However, the geopolitical realities that India lacked physical proximity to Afghanistan and lack of acquaintance between the US military and its Indian counterparts put India in a disadvantaged position during the War on Terror.
To India’s disadvantage, the US relied more on Pakistan to ensure military and non-military supplies for its Afghan operations given the poor communication facilities between Central Asia and Afghanistan and Russian strictures that Northern Distribution Network could only be used for supplies of non-lethal goods and its containment policy against Iran also prevented promotion of any alternative routes bypassing Pakistan which contributed to America’s greater dependence on Pakistan. Moreover, Pakistan was considered vital to US reconciliation efforts under the Obama Administration not only due to its allegedly well-established links with the Afghan Taliban, the US was also apprehensive of Pakistan’s collusion in multiplying support to the radical group and Pakistan as a nuclear weapon state with military wing exercising sway over the civilian administration also added to the suspicion that nuclear weapons and other government arsenals might fall into the insurgent groups’ grip.
Even while Indo-US relations improved over the years, the US entered into a discourse of good Taliban versus bad Taliban palpably pandering to Pakistani interests. The differences in the US and Indian position on terrorism became apparent in their divergent perceptions while India considered War on Terror as a comprehensive and all-out effort to eliminate terrorism, the US sought to address those threats that undermined American efforts in Afghanistan rather than mitigate the cross-border terrorism concerns that bothered India. India’s proclivity towards the US also led the former Russian President Dmitry Medvedev who now serves as Prime Minister of Russia to redefine Russian relations with Pakistan by insisting on looking at Islamabad from a fresh perspective instead of earlier perception of Pakistan as part of the region’s problems. Russia sought Pakistani cooperation in dealing with the rising menace of Islamic extremism and drug-trafficking in Central Asia considered as its strategic backyard.
Inserted here: data records.
1.
ORCA calculation (ωB97M-V/def2-TZVPD) on C41H26F3FeI2N3O4Sb as an isolated structure.

Cartesian coordinates (Å):
1 Fe 1.140 0.550 -0.842
2 O -2.439 4.609 -0.289
3 C -2.401 4.366 -1.612
4 C -3.303 5.055 -2.423
5 C -3.312 4.847 -3.786
6 C -2.425 3.947 -4.376
7 C -1.531 3.266 -3.579
8 C -1.502 3.460 -2.196
9 C -0.545 2.706 -1.382
10 O 0.277 1.904 -1.968
11 N -0.543 2.872 -0.071
12 N 0.400 2.047 0.505
13 C 0.719 2.269 1.726
14 C 1.720 1.498 2.432
15 C 1.876 1.693 3.809
16 C 2.866 1.039 4.513
17 C 3.737 0.188 3.831
18 C 3.616 -0.023 2.476
19 C 2.597 0.612 1.751
20 O 2.484 0.384 0.465
21 H -1.738 4.071 0.141
22 H -3.985 5.748 -1.950
23 H -4.017 5.391 -4.401
24 H -2.440 3.782 -5.444
25 H -0.834 2.558 -4.006
26 H 0.219 3.082 2.252
27 H 1.201 2.372 4.316
28 H 2.975 1.196 5.576
29 H 4.521 -0.321 4.379
30 H 4.279 -0.692 1.946
31 I -0.881 -3.057 -3.943
32 C 0.812 -1.874 -4.152
33 C 1.530 -1.898 -5.365
34 C 2.645 -1.134 -5.569
35 I 3.646 -1.267 -7.395
36 C 3.113 -0.269 -4.542
37 C 4.236 0.581 -4.608
38 C 4.572 1.363 -3.535
39 C 3.776 1.323 -2.379
40 N 2.725 0.546 -2.297
41 C 2.384 -0.252 -3.338
42 C 1.221 -1.076 -3.106
43 O 0.643 -1.014 -1.935
44 H 1.177 -2.553 -6.149
45 H 4.830 0.602 -5.512
46 H 5.433 2.014 -3.567
47 H 4.001 1.930 -1.511
48 F -4.256 -5.879 -0.911
49 C -3.514 -4.818 -0.538
50 C -2.142 -4.882 -0.681
51 C -1.390 -3.784 -0.297
52 C -1.993 -2.649 0.234
53 C -3.379 -2.619 0.352
54 C -4.153 -3.702 -0.035
55 Sb -0.805 -0.975 0.817
56 C -2.171 -0.145 2.224
57 C -2.671 -0.893 3.291
58 C -3.596 -0.354 4.171
59 C -4.017 0.947 3.963
60 F -4.918 1.477 4.809
61 C -3.554 1.717 2.915
62 C -2.627 1.158 2.048
63 C 0.587 -1.970 2.097
64 C 1.620 -2.678 1.489
65 C 2.597 -3.310 2.240
66 C 2.529 -3.212 3.616
67 F 3.483 -3.811 4.356
68 C 1.536 -2.501 4.257
69 C 0.568 -1.876 3.485
70 H -1.683 -5.770 -1.092
71 H -0.316 -3.825 -0.433
72 H -3.877 -1.743 0.749
73 H -5.231 -3.691 0.050
74 H -2.354 -1.919 3.433
75 H -3.998 -0.922 4.998
76 H -3.923 2.725 2.782
77 H -2.273 1.754 1.212
78 H 1.693 -2.720 0.407
79 H 3.406 -3.859 1.779
80 H 1.538 -2.425 5.335
81 H -0.190 -1.291 3.987

Calculated values
multiplicity: 6
HOMO energy (alpha / beta): -8.04 / -8.03 eV

---

2.
ORCA calculation (ωB97M-V/def2-TZVPD) on a 6-piece molecular cluster, C41H81FO11Si overall.

Cartesian coordinates (Å):
1 C 1.417 1.157 3.223
2 C 0.694 0.198 3.418
3 C 0.067 -1.179 3.580
4 Si -0.951 -1.492 1.992
5 C -2.228 -0.095 1.869
6 C -2.958 0.247 3.227
7 C -3.959 1.463 2.982
8 C -5.394 0.871 3.004
9 C -6.570 1.909 2.967
10 C -6.262 3.280 2.297
11 C -5.714 3.227 0.833
12 C -6.171 2.010 -0.024
13 C -5.064 1.784 -1.136
14 C -5.247 0.450 -1.923
15 C -5.233 -0.827 -1.031
16 C -5.294 -2.177 -1.829
17 C -6.648 -2.912 -1.519
18 O -1.603 -3.061 2.135
19 C -3.019 -3.105 2.342
20 C -3.463 -4.603 2.101
21 C 0.094 -1.450 0.387
22 F -0.169 -2.654 -0.324
23 C 1.635 -1.326 0.585
24 C 2.208 -0.008 -0.071
25 H 1.869 2.127 3.017
26 H 0.843 -1.970 3.623
27 H -0.541 -1.231 4.503
28 H -1.663 0.813 1.543
India, in a bid to get over its handicap to reach out to Afghanistan and Central Asia, collaborated with Iran in developing Chabahar port and constructing a 218 Km long Zaranj-Delaram road that would connect India with Afghanistan and Central Asia. It is noteworthy that port would reduce Afghanistan’s dependence on the port of Karachi which provides a single entry point into the world market.
Growing Indo-US bonhomie led New Delhi to oppose Iran’s nuclear programme and support sanctions against it, and India’s lack of interest in the Iran-Pakistan-India (IPI) pipeline issue was also driven by India’s cautious foreign policy not to affect Indo-US strategic relations. It is noteworthy that India backed three US – supported resolutions against Iran in the International Atomic Energy Agency and supported enforcement of UN Security Council sanctions against Tehran.
India’s policy vacuum in engaging regional powers with stakes in Afghanistan led to New Delhi’s diplomatic marginalization. For instance, apart from India’s exclusion from two significant summits – first, the trilateral summit held in Islamabad for discussing future roles of Afghanistan’s immediate neighbours, and second, the security conference on Afghanistan hosted by Turkey, India was also not invited by Russia to discuss Afghan issue. It is pertinent that any Indian strategy to expand influence beyond Afghanistan into Central Asia has to depend on Russia.
While India has been over-dependent on America-led war efforts, it has also been excluded from the peace process in Afghanistan being kept out of the Quadrilateral Coordination Group. As the recent developments indicate, the Trump Administration might be poised to end the 17-year long Afghan war to shelve it as a foreign policy victory and enhance its popularity to win future elections. India would witness the peace talks in askance and would be forced to invigorate regional diplomacy to win Russian and Iranian support to defend its stakes in Afghanistan. India has failed to take forward its partnership with Iran and develop Chabahar port as the Trump Administration rolled back the nuclear deal with Tehran and put up new sanctions. India’s strategic partnership with the US has tacitly forced New Delhi to drag its feet from forging an independent policy towards Iran which led to sluggish efforts at carving out an alternative route to Afghanistan even while India has been denied overland route to Afghanistan through Pakistan for long. While India took up a significant role in the reconstruction activities to project its soft power and earn goodwill of Afghans and is now the most significant regional donor committing more than $3 billion in critical areas of development like health, education, communications and building of political institutions, its low-profile security role which is limited to the area of training the Afghan army, supplying military equipments, for instance, Indian government supplied four Russian-made MI-25 attack helicopters to Afghanistan and its willingness to train Afghan police force is unlikely to be effective not only to protect New Delhi’s stakes in Afghanistan; rise of Islamic fundamentalism would be a threat to India’s sovereignty in the long-run as well. Rising popularity should not be mistaken for enhanced security.